There are a variety of possible technical solutions to resolve the US law enforcement's fears about criminals and terrorists "going dark" in regards to their access to mobile devices. The question isn't what is technically possible or even what is legally feasible, it is whether we want to live in a country where these solutions are enshrined in law.
As US citizens, we have long accepted that, with a warrant signed by a judge shown sufficient evidence, law enforcement could search our homes or any other space and anything within them. If there is a safe in your home, Law enforcement has the right to break into it with a warrant. US law enforcement is currently trying to extend this line of reasoning to our mobile devices as though it were the same sort of inquiry. Missing from this reasoning is the fact that mobile devices contain far more info about us than our homes. How often do we do Spring cleaning on our mobile devices? If we run out of space on our phones, we can get more space or shuttle data to on-line services accessible from our devices. If we run out of space in our homes, it is a much harder problem to solve and we are under constant pressure to dispose of traces of our lives. Mobile devices bring all of our data together in one place and commonly access all our history, too. Phone manufacturers and mobile service providers often provide tools or services to move all of your data from your old device to your new one. It makes sense: It encourages customers to buy more. These capabilities keep an unprecedented amount of history accessible to if not stored directly on our mobile devices.
Someone pasted calculated molecules at this point:
┌──
Computed, not measured: C5H11IrO2 as an isolated structure at a distorted geometry, with the ωB97M-V functional and the def2-TZVPD basis.

## Properties
HOMO level (spin up / spin down) in eV: -18.56 / -20.37
2S+1: 5
LUMO (spin up / spin down) in eV: -9.5021 / -12.5650
Total charge: +2

Geometry as XYZ:
```
19
Properties=species:S:1:pos:R:3:forces:R:3
C -1.400901 -0.289030 0.561708 -1.3 1.0 1.0
C -2.219543 -0.093828 -0.691542 0.1 -0.2 -0.3
H 0.108872 -1.533042 -0.436824 2.2 0.9 -0.3
H -1.378005 -1.326249 0.913193 0.7 0.3 -0.1
H -1.783363 0.665898 -1.351661 -0.2 -0.1 0.1
H -3.217087 0.253230 -0.390514 0.3 -0.1 -0.2
H -2.338138 -1.030393 -1.251528 0.1 0.3 0.1
O 3.098431 0.115544 0.248614 1.5 -0.6 -0.1
C 2.215379 -0.940739 0.172441 -1.7 -2.9 -0.1
C 0.843776 -0.637080 -0.397828 -1.5 -1.2 -0.9
O 0.051768 0.225216 0.458811 0.2 -0.1 0.5
C 0.323490 1.697459 0.375427 -2.3 -0.3 0.0
Ir 2.361172 1.788092 0.402487 -0.1 1.9 0.3
H 2.045682 -1.417431 1.160532 0.6 0.4 -0.2
H 2.599569 -1.745354 -0.489116 0.3 0.5 0.3
H 0.889037 -0.171337 -1.391573 0.0 -0.1 0.0
H -0.215278 2.089855 1.247807 0.4 0.2 -0.1
H -0.199371 2.035556 -0.532143 0.5 0.2 0.1
H -1.785497 0.313628 1.391714 0.2 -0.1 -0.2
```
Forces are in eV/Å.

***

Computed, not measured: C13H25Cl4MgO12 as an isolated structure at a distorted geometry, with the ωB97M-V functional and the def2-TZVPD basis.

## Properties
HOMO level in eV: -12.75
LUMO in eV: -3.6599
Total charge: +1

Geometry as XYZ:
```
55
Properties=species:S:1:pos:R:3:forces:R:3
Mg -0.245134 1.748901 -0.837083 0.6 -1.4 -0.1
Cl -1.465263 -0.065293 -0.374161 -0.7 -0.2 0.1
C -1.824517 -2.804229 -2.888442 0.2 0.4 0.1
Cl -3.495399 -2.849329 -3.456926 0.3 -0.2 -0.1
Cl -0.636746 -2.723256 -4.238539 -0.5 -0.1 0.5
Cl -1.448310 -4.110483 -1.754960 -0.1 0.0 -0.5
H -1.724103 -1.889869 -2.312899 0.1 0.0 -0.1
C -1.457090 -3.069902 1.495757 0.1 -0.2 -0.7
O -1.819771 -3.560121 2.778582 0.0 -0.1 -0.1
C -1.595220 -2.784414 3.826374 -1.2 0.8 0.7
O -1.204464 -1.641011 3.841277 0.7 -0.1 -0.4
O -2.062934 -3.417983 4.898825 0.7 -0.6 -0.7
C -1.653561 -3.023194 6.192991 0.2 -0.5 1.0
H -1.036215 -2.069583 1.546782 0.2 -0.1 0.1
H -2.295117 -3.054133 0.798640 -0.4 0.1 0.5
H -0.802326 -3.820466 1.051367 0.4 0.3 0.2
H -0.677164 -2.555619 6.330246 -0.2 0.5 -0.9
H -1.491361 -3.966521 6.719583 -0.6 0.1 0.2
H -2.451856 -2.425467 6.627897 0.2 0.0 0.2
C 1.777530 -1.508827 0.356252 0.0 -0.7 0.6
O 2.916217 -0.759026 -0.125234 0.0 -0.4 0.0
C 2.662323 0.362259 -0.722364 1.3 0.6 -0.2
O 1.565224 0.866808 -0.842829 -0.4 0.7 -0.3
O 3.796731 0.905359 -1.176335 -1.1 -0.6 0.7
C 3.801909 2.221450 -1.757396 0.2 -0.6 0.0
H 2.151785 -2.284574 1.021744 0.4 0.3 0.0
H 1.291112 -2.056048 -0.448974 -0.2 0.5 -0.2
H 1.114331 -0.870952 0.933179 -0.2 0.1 -0.3
H 3.763073 2.998642 -0.994863 0.3 -0.1 0.1
H 2.974854 2.396066 -2.445403 0.1 -0.3 -0.1
H 4.765564 2.132493 -2.251974 -0.1 1.0 -0.3
C 1.662569 0.640906 -4.660672 0.5 -0.6 -0.3
O 0.302463 0.868314 -5.000311 -0.8 -0.1 0.3
└──
If I want to know what I was doing in 2007, I search my Gmail. If I want to know what I was doing in 2001, I search my previous webmail provider. Law enforcement may be able to get separate warrants to search both of those service providers. Getting a single warrant for my mobile device, by contrast, gives them the passport to all of my data, no matter which medium or service it is stored in. At some point, many years ago, I ran out of physical space and time to keep and manage even a small portion of these data in my home.
Arguably, my home PC would give a searcher access to these same data sources. The difference is that my home PC doesn't go places with me, logging everything as I go. My mobile device is my GPS, storing all the places I lookup driving directions to or map-based searches for and which route I took, when, whether I deviated. I'll often search for businesses using a mobile map app to constrain the results to those nearby or more quickly get to a place's phone number, menu, etc. Those data are accessible to the map service provider but are also accessible on or through my mobile device with everything else. My mobile device is also my primary camera. By default, it time-stamps and geolocates every photo I take with it. Certain apps scan these photos for faces, conveniently making who I was with, when, and where accessible from a simple app. Again, these photos may be backed up or shared via on-line service(s), but the all of originals with full resolution and details are on the phone and it would be more policework to get warrants for all of the services I could possibly use to share and backup photos. There are also logs that the device manufacturer or service provider keep on the device that indicate which tower I was near at what times, filling in gaps between map searches and photos with a continuous log of where I was potentially going back several years. Which apps I use, when, and what for are logged, too, not only web search history and cookies. Mobile devices tend to store more passwords to my on-line services, too. Typing a complex password on a PC is far easier than on a tiny touchscreen so its more likely that I'll check that "remember me" box and less likely that services will even ask. I use a variety of apps services to make voice calls, message, take notes, manage my calendar, and reminder myself of things. Regardless of whether these data are stored in on-line services, they are of little value unless they are with me when I need them. Therefore, the best place to access them from is my mobile device. The single place that all of those logs, calls, messages, notes, meetings, and reminders can be accessed from is my mobile device.
No other location, device, service, or data source has as much information about me, my identity, my thoughts, my beliefs, my history of actions, meetings, locations, and communications than my mobile device. It stores things I have long since forgotten, making access to it more personal than direct access to my own memory. Giving someone access to this device gives them unrestricted access to all of it, unfiltered, unbiased by my feelings of what is important and what I can forget. Forgetting is easy. Deleting is hard. Therefore, access to my mobile device is far more invasive than access to my home and should be subject to far greater protections from access, even by those with the noblest of intentions.